Coffee Fantasy | 03 | Brazil Ferreira

### Data records, kept here for reference
/*
1.
ORCA calculation (wB97M-V/def2-TZVPD) on a molecular structure, C46H58LiN3O9S.

Each line ends with the Mulliken charge.
Positions of all 118 atoms, in Å:
1 Li -0.098540 -0.057289 -1.481629  1.863
2 C -1.100405 2.237943 5.494613  -1.848
3 C -0.095876 2.201009 4.330424  2.291
4 C 0.491356 3.607600 4.130445  -1.753
5 C 1.048102 1.266174 4.729017  -1.814
6 C -0.799836 1.735668 3.056820  -0.221
7 C -0.401253 0.628506 2.345363  -0.641
8 C -1.040065 0.239673 1.145638  -0.083
9 N -0.599810 -0.723819 0.328438  0.214
10 C 0.253542 -1.743508 0.589052  -1.010
11 C 0.510378 -2.310634 1.849131  -0.146
12 C 1.318259 -3.425656 1.994395  -0.557
13 C 1.878868 -3.984963 0.837604  -0.119
14 C 1.654872 -3.490929 -0.439221  -0.239
15 C 0.827764 -2.331259 -0.609594  0.772
16 O 0.583100 -1.788232 -1.744430  -1.091
17 C 2.245406 -4.185525 -1.670262  2.539
18 C 3.080021 -5.413584 -1.298571  -2.422
19 C 1.103949 -4.661882 -2.587579  -1.593
20 C 3.156609 -3.210658 -2.436724  -1.685
21 C 1.585131 -4.080336 3.350533  2.003
22 C 3.096050 -4.122514 3.629651  -1.716
23 C 1.036276 -5.516471 3.354415  -1.749
24 C 0.921731 -3.320577 4.501971  -2.180
25 C -2.215519 0.984156 0.665036  0.772
26 O -2.846446 0.584712 -0.343488  -0.791
27 C -2.572369 2.178990 1.409780  0.214
28 C -1.882359 2.494535 2.556993  -0.547
29 C -3.684702 3.084859 0.875198  2.764
30 C -3.327570 3.553445 -0.545853  -1.669
31 C -3.882584 4.328507 1.744941  -2.363
32 C -5.021213 2.320977 0.848372  -1.881
33 H -0.614940 2.572706 6.418249  0.493
34 H -1.515024 1.241151 5.658775  0.333
35 H -1.927186 2.914702 5.276502  0.289
36 H 1.007047 3.944680 5.036892  0.454
37 H -0.289712 4.330917 3.893271  0.315
38 H 1.205215 3.601888 3.304176  0.294
39 H 1.495017 1.605916 5.668119  0.520
40 H 1.828886 1.253800 3.965716  0.091
41 H 0.687166 0.245486 4.871243  0.323
42 H 0.479829 0.073443 2.641117  0.293
43 H 0.005850 -1.880761 2.704310  0.854
44 H 2.517399 -4.854585 0.949508  0.351
45 H 2.477714 -6.160851 -0.774916  0.385
46 H 3.931871 -5.141874 -0.668923  0.372
47 H 3.469315 -5.872652 -2.211621  0.461
48 H 0.447225 -5.349005 -2.046156  0.292
49 H 1.502406 -5.178988 -3.467702  0.476
50 H 0.518188 -3.805054 -2.912055  0.193
51 H 4.031104 -2.954797 -1.830566  0.306
52 H 2.604639 -2.300237 -2.660924  0.228
53 H 3.501394 -3.661210 -3.374344  0.442
54 H 3.624676 -4.684793 2.858893  0.276
55 H 3.298074 -4.594641 4.597870  0.480
56 H 3.501906 -3.108734 3.645902  0.307
57 H 1.490743 -6.110529 2.560426  0.311
58 H -0.042649 -5.503737 3.187037  0.342
59 H 1.235484 -6.010781 4.312432  0.449
60 H 1.273317 -2.287457 4.541747  0.302
61 H 1.166271 -3.802297 5.453387  0.499
62 H -0.164214 -3.312471 4.393635  0.394
63 H -2.159449 3.388754 3.103943  0.273
64 H -2.388035 4.112631 -0.540811  0.271
65 H -4.117377 4.198236 -0.946101  0.511
66 H -3.203997 2.692680 -1.198888  0.164
67 H -2.970997 4.929674 1.795389  0.371
68 H -4.183229 4.056755 2.760992  0.395
69 H -4.672236 4.948935 1.312489  0.458
70 H -4.914906 1.430816 0.232689  0.335
*/
### The entry goes on

Coffee Fantasy | 03 | Brazil Ferreira
Riso Art Print

日曬 — 山脈上的自然風光
Fermentation — Natural scenery on the mountains

// Brazil Ferreira是一種同時擁有甜度與堅實醇厚度的咖啡,產地位於巴西一座名為 Mantiqueira的山脈上。農夫對咖啡豆風味強度非常關注,農場的所有咖啡皆採用天然日曬處理,每顆咖啡豆都沐浴在巴西溫暖的陽光下。受咖啡風味與產地特色所啓發,一顆顆巨碩的咖啡豆在畫中躺臥於Mantiqueria山脈中,感受著日照的發酵,飽滿的果實慢慢變成帶有獨特風味的咖啡豆。在陽光下,疊嶺層巒的山脈像幼滑雪糕般融化,在自帶「甜度」的色調(奶黃與螢光粉紅)配合下,滲出絲絲甜味。融入了巴西著名森巴舞(Samba)之造型元素的邊框,在碰上山脈時亦化身了熱情四射的太陽,灑下金燦燦的光輝,這亦帶出了咖啡發酵工序⸺日曬。

// Grown in Mantiqueira mountain in Brazil, Brazil Ferreira has a well-balanced taste of sweet and richness in itself. Monitoring the flavour of coffee beans in an orderly manner, farmers adopt dry processing in farming. Every single bean has been bathing under the shining, warm sunlight of Brazil. To echo the coffee flavour and growing region’s specialities, giant coffee beans are illustrated in the poster. Lying on the Mantiqueira mountainous region and processed naturally under the sunshine, the fresh, rich coffee cherries slowly transform into specialty beans with its unique flavour. Bathing under the golden sunlight, stacking layers of hill range melt like softy ice cream. The gourmand creamy, pinkish colour tone extrudes vanilla-like aroma. Samba, the passionate dance representing Brazil, is merged into the frame design. The patterns of heating sun paired with and shining through mountain ranges best visualize the fermentation process - natural processing.

Design Director: Woody Chau
Art Director: Can Chan
Illustration: Can Chan, Rita Leung
Story by: Peter Law @Espresso Alchemy

​​​​​​​© All right reserved by Never-Never

About Coffee Fantasy

// 咖啡源自阿拉伯語 “kaweh”,有「力量」以及「活力」的意思,如今更成為世界上最受歡迎的飲品之一。
因此,Never-Never 團隊在約兩年前萌生了一個瘋狂的念頭。嘗試透過融合插畫、傳統印刷及AR科技,以一個跨越時代與文化的新角度去觀看不同咖啡豆的故事。設計構思以13款咖啡卡組成一個系列,每張代表一項咖啡豆的製作工序,閱讀咖啡卡能同時了解咖啡的生成故事。裝飾邊框及背景設計,是從原產地的文化風俗、傳統衣飾、民族圖案、建築物圖騰及地理環境等方面獲取靈感。

// Coffee originates from the Arabic word 'kaweh' meaning strength or vigour, and it has become one of the world's most popular drinks nowadays. Every single coffee bean is undoubtedly the result of the efforts of local farmers. What's more interesting is that the geographical environment and culture of the region can somehow affect the taste of coffee. As [a] coffee-loving designer,  we hope to visualise these unseen parts with fine illustration.
The Never-Never team is introducing you to a creative approach to storytelling — the merge of illustrations, traditional printing and advanced AR (Augmented Reality) technology. The set of 13 Coffee Poster each represents a step of coffee bean handling, narrating the process of how coffee is grown and made.

Coffee Fantasy | 03 | Brazil Ferreira

Coffee Fantasy | 03 | Brazil Ferreira

Grown in Mantiqueira mountain in Brazil, Brazil Ferreira has a well-balanced taste of sweet and richness in itself. Monitoring the flavour of cof Read More
